The management of purchased services continues to lag relative to other categories of spend. And while the reasons are varied and debatable, virtually no one argues the availability of big savings opportunities. So what gives? No doubt, the decentralized nature of many purchased services confounds attempts to introduce more manageable processes. And we can’t overlook the “stiff arm” that procurement leaders often receive from stakeholders who treat certain categories of spend like organizational sacred cows. Especially in the higher preference categories of spend (e.g., marketing, legal or management consulting), the resistance to procurement-led structure can be formidable.
# Records of crystals that have nothing to do with the article
<<<
Starting from the PBE geometry in Alexandria, the X-ray powder pattern of Sc5SnGe2 was calculated for Cu Kα X-rays.
Lines closer than 0.1° are merged.

Largest 10 diffraction maxima, low angle first, 10 to 80 degrees two-theta:
d/Å	intensity
4.022	37.0
2.704	25.2
2.597	100.0
2.400	24.2
2.330	77.2
2.008	26.7
1.876	18.3
1.647	22.3
1.309	18.8
1.302	21.6

Cell and atoms:
```
16
Lattice="-3.6842 3.6842 6.3260 3.6842 -3.6842 6.3260 3.6842 3.6842 -6.3260" Properties=species:S:1:pos:R:3 pbc="T T T"
Sc 0.0000 0.0000 0.0000
Sc 4.8292 1.1450 -1.8104
Sc 1.1450 2.5392 -1.8104
Sc 4.8292 1.1450 1.8104
Sc 1.1450 2.5392 1.8104
Sc 0.0000 0.0000 6.3260
Sc 2.5392 1.1450 4.5156
Sc -1.1450 2.5392 4.5156
Sc 2.5392 1.1450 8.1365
Sc -1.1450 2.5392 8.1365
Sn 0.0000 0.0000 3.1630
Sn 0.0000 0.0000 9.4891
Ge 2.6099 1.0744 0.0000
Ge 2.6099 -1.0744 6.3260
Ge 1.0744 4.7586 0.0000
Ge 1.0744 2.6099 6.3260
```


Starting from the PBE geometry in Alexandria, the X-ray powder pattern of ScTa3Ge was calculated for Cu Kα X-rays.
Lines closer than 0.1° are merged.

Largest 10 diffraction maxima, low angle first, 10 to 80 degrees two-theta:
d/Å	intensity
4.791	49.8
3.388	3.1
2.766	100.0
2.395	85.0
2.143	25.3
1.694	59.2
1.597	12.8
1.445	41.7
1.383	20.1
1.329	5.6

Cell and atoms:
```
5
Lattice="4.7910 0.0000 0.0000 0.0000 4.7910 0.0000 0.0000 0.0000 4.7910" Properties=species:S:1:pos:R:3 pbc="T T T"
Sc 0.0000 0.0000 0.0000
Ta 0.0000 2.3955 2.3955
Ta 2.3955 0.0000 2.3955
Ta 2.3955 2.3955 0.0000
Ge 2.3955 2.3955 2.3955
```


Starting from the PBE geometry in Alexandria, the X-ray powder pattern of Tb3Sc4Ge4 was calculated for Cu Kα X-rays.
Lines closer than 0.1° are merged.

Largest 10 diffraction maxima, low angle first, 10 to 80 degrees two-theta:
d/Å	intensity
4.231	15.9
2.847	100.0
2.607	65.7
2.462	18.2
2.116	12.0
2.064	11.4
1.988	15.8
1.966	14.2
1.547	13.2
1.440	15.1

Cell and atoms:
```
11
Lattice="-1.9882 4.2313 7.5644 1.9882 -4.2313 7.5644 1.9882 4.2313 -7.5644" Properties=species:S:1:pos:R:3 pbc="T T T"
Tb 0.0000 0.0000 0.0000
Tb 1.9882 0.0000 5.9057
Tb 0.0000 4.2313 1.6587
Sc 1.9882 1.6344 -2.6202
Sc 1.9882 1.6344 2.6202
Sc 0.0000 2.5969 4.9442
Sc 0.0000 2.5969 10.1846
Ge 0.0000 0.0000 3.6456
Ge 1.9882 2.3913 0.0000
Ge 0.0000 1.8401 7.5644
Ge 0.0000 0.0000 11.4831
```


Starting from the PBE geometry in Alexandria, the X-ray powder pattern of Tb3ScGe6 was calculated for Cu Kα X-rays.
Lines closer than 0.1° are merged.

Largest 10 diffraction maxima, low angle first, 10 to 80 degrees two-theta:
d/Å	intensity
5.725	17.2
3.150	28.5
2.721	16.3
2.672	100.0
2.474	66.3
2.457	48.3
1.938	18.8
1.877	22.4
1.703	14.2
1.588	13.1

Cell and atoms:
```
20
Lattice="5.7252 3.3054 3.7723 -5.7252 3.3054 3.7723 0.0000 -6.6109 3.7723" Properties=species:S:1:pos:R:3 pbc="T T T"
Tb -3.2536 0.9754 4.7154
Tb -2.4715 -2.3300 6.6016
Tb 0.7821 -3.3054 4.7154
Tb -0.7821 3.3054 6.6016
Tb 2.4715 2.3300 4.7154
Tb 3.2536 -0.9754 6.6016
Sc 0.0000 0.0000 0.0000
Sc 0.0000 0.0000 5.6585
Ge -0.4346 -2.1033 1.7633
>>>
Generalist Tools Don’t Cut It
The generalist S2P tools have never proven to be a good fit for many categories of purchased services. It’s not to say that practitioners don’t routinely push the functional envelope of these systems, because they do. But struggling with experimental configurations of
RFx software is not where the profession needs to be. On a practical level, when a purchased service doesn’t fit the workflows and templates used in everyday practice, things tend to not happen. Management typically follows a reactive plan, meaning there’s little activity until contract expirations are in play.
No Market Context
It’s not just a software configuration issue. The market insights required to drive effective category management are often absent, especially in the highest preferred areas of spend specifically mentioned above. But knowing that you don’t have the appropriate benchmarks (along with not necessarily knowing what you would do if you did) speaks to the need for packaged solutions. In fact, “category killer” solutions are emerging. They are typically delivered as-a-service, so they are IT-light. Not only are many of these solutions easy to adopt and integrate (little change management required), but they require little-to-no training to use.
On-Demand Category Management
Obviously, all purchased service categories are not created equal. Not surprisingly, however, the most successful, new, on-demand solutions share several characteristics:
- The companies are founded by category experts.
- Their solutions typically target markets where supply exceeds demand and/or technology has eliminated quality concerns.
- They all deliver a more structured, accountable procurement process with many going so far as to guarantee reduced costs and improved quality.
********
# 1
Simulated X-ray diffraction stick pattern
Compound: Pr4MgAgHg2
Radiation: copper Kα
Structure: a cell relaxed with GGA-PBE
Neutral-atom scattering factors, no anomalous dispersion.

Principal peaks in the range 10° ≤ 2θ ≤ 90°, in order of rising 2θ:
| hkl | 2θ (°) | d/Å | I/Imax |
| --- | --- | --- | --- |
| 0 0 6 | 19.96 | 4.447 | 12 |
| 1 1 0 | 32.89 | 2.723 | 100 |
| 1 1 6 | 38.78 | 2.322 | 7 |
| 1 1 9 | 45.19 | 2.006 | 5 |
| 2 0 8 | 47.20 | 1.926 | 17 |
| 1 0 16 | 58.62 | 1.575 | 7 |
| 3 0 0 | 58.75 | 1.572 | 28 |
| 2 2 0 | 69.04 | 1.360 | 6 |
| 2 1 16 | 78.49 | 1.219 | 6 |
| 3 1 8 | 78.59 | 1.217 | 8 |

Crystal structure
```
data_Pr4MgAgHg2
_chemical_formula_sum 'Pr12 Mg3 Ag3 Hg6'
_space_group_name_H-M_alt 'R -3 m'
_space_group_IT_number 166
_space_group_name_Hall '-R 3 2"'
_cell_length_a 5.4417
_cell_length_b 5.4417
_cell_length_c 26.7340
_cell_angle_alpha 90.00
_cell_angle_beta 90.00
_cell_angle_gamma 120.00
loop_
_atom_site_label
_atom_site_fract_x
_atom_site_fract_y
_atom_site_fract_z
Pr1 0.0000 0.0000 0.1198
Pr2 0.0000 0.0000 0.3711
Mg1 0.0000 0.0000 0.5000
Ag1 0.0000 0.0000 0.0000
Hg1 0.0000 0.0000 0.2420
```



# 2
Simulated X-ray diffraction stick pattern
Compound: Y2ZnSi4Pd3
Radiation: copper Kα
Structure: a cell relaxed with GGA-PBE
Neutral-atom scattering factors, no anomalous dispersion.

Principal peaks in the range 10° ≤ 2θ ≤ 90°, in order of rising 2θ:
| hkl | 2θ (°) | d/Å | I/Imax |
| --- | --- | --- | --- |
| 1 0 2 | 27.76 | 3.214 | 29 |
| 1 1 1 | 32.26 | 2.775 | 36 |
| 1 0 3 | 33.82 | 2.650 | 72 |
| 1 1 2 | 35.60 | 2.522 | 100 |
| 2 0 0 | 44.53 | 2.035 | 64 |
| 1 1 4 | 46.91 | 1.937 | 24 |
| 1 0 5 | 48.89 | 1.863 | 34 |
| 2 1 3 | 57.06 | 1.614 | 31 |
| 2 1 5 | 68.26 | 1.374 | 25 |
| 3 1 2 | 76.17 | 1.250 | 20 |

Crystal structure
```
data_Y2ZnSi4Pd3
_chemical_formula_sum 'Y2 Zn1 Si4 Pd3'
_space_group_name_H-M_alt 'P -4 m 2'
_space_group_IT_number 115
_cell_length_a 4.0697
_cell_length_b 4.0697
_cell_length_c 10.4764
_cell_angle_alpha 90.00
_cell_angle_beta 90.00
_cell_angle_gamma 90.00
loop_
_space_group_symop_operation_xyz
'x,y,z'
'y,-x,-z'
'-x,-y,z'
'-y,x,-z'
'-x,y,z'
'-y,-x,-z'
'x,-y,z'
'y,x,-z'
loop_
_atom_site_label
_atom_site_fract_x
_atom_site_fract_y
_atom_site_fract_z
Y1 0.0000 0.5000 0.2469
Zn1 0.5000 0.5000 0.0000
Si1 0.0000 0.0000 0.5000
Si2 0.0000 0.5000 0.8594
Si3 0.5000 0.5000 0.5000
Pd1 0.0000 0.0000 0.0000
Pd2 0.0000 0.5000 0.6295
```



# 3
Simulated X-ray diffraction stick pattern
Compound: Pm2Ho8Er
Radiation: copper Kα
Structure: a cell relaxed with GGA-PBE
Neutral-atom scattering factors, no anomalous dispersion.

Principal peaks in the range 10° ≤ 2θ ≤ 90°, in order of rising 2θ:
| hkl | 2θ (°) | d/Å | I/Imax |
| --- | --- | --- | --- |
| 1 1 2 | 30.90 | 2.894 | 100 |
| 6 0 1 | 35.82 | 2.507 | 51 |
| 6 2 1 | 51.57 | 1.772 | 36 |
| 1 3 2 | 61.33 | 1.511 | 43 |
| 2 2 4 | 64.38 | 1.447 | 12 |
| 8 0 -6 | 75.88 | 1.254 | 4 |
| 0 4 0 | 76.00 | 1.252 | 2 |
| 9 3 -4 | 84.18 | 1.150 | 18 |
********
And while the management of low preference services doesn’t carry the same level of interest (or emotional baggage), as more strategic categories, there is still much to be gained by considering on-demand solutions. In fact, successful category-specific approaches aren’t about shining a light on a problem. On the contrary, they shine a light on opportunities. Print solutions help marketing professionals get comfortable with the fact that supply-side print technologies have leveled
**Inserted here: calculated crystals:**
(1)
For TiCrAgS4, DFT lattice parameters and positions (GGA-PBE) gives the simulated powder XRD pattern in this record (Cu Kα).
Neutral-atom scattering factors, no anomalous dispersion.

Atomic structure:
Lattice parameters (Å, degrees): 6.9379 13.3532 5.9400 90.00 90.00 90.00
Element x y z (fractional)
Ti (0.0000, 0.0000, 0.0000)
Ti (0.0000, 0.5000, 0.0000)
Ti (0.5000, 0.0000, 0.0000)
Ti (0.5000, 0.5000, 0.0000)
Cr (0.2500, 0.0016, 0.4997)
Cr (0.2500, 0.4984, 0.4997)
Cr (0.7500, 0.5016, 0.5003)
Cr (0.7500, 0.9984, 0.5003)
Ag (0.2500, 0.2500, 0.1610)
Ag (0.2500, 0.7500, 0.4777)
Ag (0.7500, 0.2500, 0.5223)
Ag (0.7500, 0.7500, 0.8390)
S (0.0019, 0.1043, 0.3378)
S (0.0019, 0.3957, 0.3378)
S (0.2500, 0.1041, 0.8325)
S (0.2500, 0.3959, 0.8325)
S (0.2500, 0.6038, 0.1686)
S (0.2500, 0.8962, 0.1686)
S (0.4981, 0.1043, 0.3378)
S (0.4981, 0.3957, 0.3378)
S (0.5019, 0.6043, 0.6622)
S (0.5019, 0.8957, 0.6622)
S (0.7500, 0.1038, 0.8314)
S (0.7500, 0.3962, 0.8314)
S (0.7500, 0.6041, 0.1675)
S (0.7500, 0.8959, 0.1675)
S (0.9981, 0.6043, 0.6622)
S (0.9981, 0.8957, 0.6622)

The 8 most intense peaks (2θ from 10° to 90°), low angle first:
- 2θ 20.78, intensity 100
- 2θ 28.16, intensity 50
- 2θ 29.01, intensity 34
- 2θ 36.14, intensity 69
- 2θ 36.37, intensity 49
- 2θ 40.47, intensity 98
- 2θ 40.66, intensity 40
- 2θ 53.27, intensity 57

(2)
For TiCrAgS4, DFT lattice parameters and positions (GGA-PBE) gives the simulated powder XRD pattern in this record (Cu Kα).
Neutral-atom scattering factors, no anomalous dispersion.

Atomic structure:
Lattice parameters (Å, degrees): 7.2615 7.2615 7.2615 119.82 119.10 90.94
Element x y z (fractional)
Ti (0.2213, 0.2500, 0.4713)
Ti (0.2787, 0.7500, 0.0287)
Cr (0.2500, 0.2548, 0.0048)
Cr (0.7500, 0.2452, 0.4952)
Ag (0.6210, 0.8710, 0.7500)
Ag (0.8790, 0.6290, 0.2500)
S (0.0088, 0.4795, 0.9634)
S (0.0126, 0.4953, 0.5310)
S (0.0160, 0.0453, 0.5366)
S (0.0357, 0.0047, 0.0172)
S (0.4643, 0.4816, 0.9690)
S (0.4840, 0.0205, 0.0293)
S (0.4874, 0.0184, 0.4828)
S (0.4912, 0.4547, 0.4707)

The 8 most intense peaks (2θ from 10° to 90°), low angle first:
- 2θ 24.51, intensity 100
- 2θ 28.55, intensity 64
- 2θ 28.73, intensity 55
- 2θ 28.99, intensity 60
- 2θ 45.46, intensity 24
- 2θ 45.65, intensity 36
- 2θ 46.27, intensity 26
- 2θ 50.27, intensity 79

(3)
For TiCrAgS4, DFT lattice parameters and positions (GGA-PBE) gives the simulated powder XRD pattern in this record (Cu Kα).
Neutral-atom scattering factors, no anomalous dispersion.

Atomic structure:
Lattice parameters (Å, degrees): 3.4749 11.2661 12.8746 90.00 90.00 90.00
Element x y z (fractional)
Ti (0.0000, 0.1785, 0.0000)
Ti (0.0000, 0.1997, 0.5292)
Ti (0.5000, 0.8003, 0.0292)
Ti (0.5000, 0.8215, 0.5000)
Cr (0.0000, 0.6632, 0.3216)
Cr (0.0000, 0.6910, 0.8001)
Cr (0.5000, 0.3090, 0.3001)
Cr (0.5000, 0.3368, 0.8216)
Ag (0.0000, 0.4964, 0.6008)
Ag (0.0000, 0.9989, 0.7315)
Ag (0.5000, 0.0011, 0.2315)
Ag (0.5000, 0.5036, 0.1008)
S (0.0000, 0.1670, 0.3414)
S (0.0000, 0.2846, 0.7032)
supplier playing fields to a point where print can be bid competitively without quality concerns. And legal category solutions provide clients with an opportunity to finally sit down with outside counsel and have structured discussions based on relevant facts. This is a game changer. In both cases, the merits of a structured approach are indisputable.
In markets where supply exceeds demand, or where technology has leveled supply-side playing fields, or where performance benchmarks are now available, the latest on-demand category management options should be aggressively explored. They provide procurement leadership and the stakeholders who have historically blocked their efforts to deliver structure with a way to collaboratively improve quality and reduce costs. If nothing else, they provide both parties with an objective way to quantify supplier relationship premiums and effectively address them when they don’t make sense.